Recently, Treasury Board President Tony Clement announced a new Directive on Performance Management. The Directive calls for the standardization of regular performance reviews across the federal Public Service in order to recognize excellent performance and to better manage unsatisfactory performers.

Any measure designed to strengthen the accountability and improve performance within the Public Service is to the benefit of ACFO, the FI Community, and ultimately Canadian taxpayers.

However, this new Directive was produced without consultation with stakeholder groups; and in truth it will have little change for Financial Officers. Most, if not all of our members already participate in regular performance evaluations.

• Next to the article, the page also holds calculated crystals:
┌──
Entry 1:
Computed, not measured: an optimized crystal structure of CaNbO12F2 at the PBE-GGA level of DFT.

As for the total energy: -4.813 eV per atom. The energy with MP2020 corrections comes out at -86.2 eV/f.u. The calculation puts the formation enthalpy at 0 K at -10.9 eV/f.u.

Cell: 7.5964 7.5964 7.5964 Å, 60.00 60.00 60.00°
Positions (direct):
Ca  0.1250  0.1250  0.1250
Ca  0.8750  0.8750  0.8750
Nb  0.3750  0.3750  0.3750
Nb  0.6250  0.6250  0.6250
O  0.1073  0.3529  0.3529
O  0.1073  0.3529  0.6868
O  0.1073  0.6868  0.3529
O  0.3132  0.6471  0.6471
O  0.3132  0.6471  0.8927
O  0.3132  0.8927  0.6471
O  0.3529  0.1073  0.3529
O  0.3529  0.1073  0.6868
O  0.3529  0.3529  0.1073
O  0.3529  0.3529  0.6868
O  0.3529  0.6868  0.1073
O  0.3529  0.6868  0.3529
O  0.6471  0.3132  0.6471
O  0.6471  0.3132  0.8927
O  0.6471  0.6471  0.3132
O  0.6471  0.6471  0.8927
O  0.6471  0.8927  0.3132
O  0.6471  0.8927  0.6471
O  0.6868  0.1073  0.3529
O  0.6868  0.3529  0.1073
O  0.6868  0.3529  0.3529
O  0.8927  0.3132  0.6471
O  0.8927  0.6471  0.3132
O  0.8927  0.6471  0.6471
F  0.0000  0.0000  0.0000
F  0.0000  0.0000  0.5000
F  0.0000  0.5000  0.0000
F  0.5000  0.0000  0.0000


Entry 2:
Computed, not measured: an optimized crystal structure of Ca2NbO6F at the PBE-GGA level of DFT.

As for the total energy: -6.477 eV per atom. The energy with MP2020 corrections comes out at -69.4 eV/f.u. The calculation puts the formation enthalpy at 0 K at -23.6 eV/f.u.

Cell: 7.3408 7.3408 7.3408 Å, 120.43 117.18 92.10°
Positions (direct):
Ca  0.0000  0.0000  0.0000
Ca  0.5000  0.0000  0.0000
Ca  0.5000  0.0000  0.5000
Ca  0.5000  0.5000  0.5000
Nb  0.0000  0.5000  0.5000
Nb  0.5000  0.5000  0.0000
O  0.0866  0.8366  0.2500
O  0.0878  0.4016  0.2532
O  0.0878  0.8346  0.6862
O  0.3222  0.5722  0.7500
O  0.3516  0.1654  0.7532
O  0.3516  0.5984  0.1862
O  0.6484  0.4016  0.8138
O  0.6484  0.8346  0.2468
O  0.6778  0.4278  0.2500
O  0.9122  0.1654  0.3138
O  0.9122  0.5984  0.7468
O  0.9134  0.1634  0.7500
F  0.3747  0.1247  0.2500
F  0.6253  0.8753  0.7500


Entry 3:
Computed, not measured: an optimized crystal structure of Ca2NdF7 at the PBE-GGA level of DFT.

As for the total energy: -6.060 eV per atom. The energy with MP2020 corrections comes out at -63.8 eV/f.u. The calculation puts the formation enthalpy at 0 K at -41.7 eV/f.u.

Cell: 3.9455 3.9455 30.7090 Å, 90.70 90.70 60.13°
Positions (direct):
Ca  0.0000  0.0000  0.0000
Ca  0.0313  0.0313  0.3133
Ca  0.3502  0.3502  0.2106
Ca  0.4002  0.4002  0.5215
Ca  0.6647  0.6647  0.1031
Ca  0.7191  0.7191  0.4172
Nd  0.0172  0.0172  0.6448
Nd  0.3315  0.3315  0.8919
Nd  0.6672  0.6672  0.7691
F  0.0020  0.0020  0.8069
F  0.0110  0.0110  0.7252
F  0.0188  0.0188  0.2342
F  0.0484  0.0484  0.3889
F  0.0693  0.0693  0.4932
F  0.3293  0.3293  0.0750
F  0.3334  0.3334  0.9709
F  0.3349  0.3349  0.7748
F  0.3500  0.3500  0.6827
F  0.3615  0.3615  0.2854
F  0.3718  0.3718  0.6007
F  0.3899  0.3899  0.4399
└──

Performance appraisals can be an excellent mechanism for employees to discuss workplace issues, along with their professional development and career objectives. They also allow for deficiencies to be identified and addressed.

ACFO will continue to provide assistance to members who have legitimate issues regarding their manager’s assessment, and support FIs who are being subjected unfairly to negative performance reviews and unfair sanctions. Where legitimate performance concerns are raised, ACFO will continue to work with our member and management to ensure every FI is given the opportunity and support to improve.

(Next to the article, the page also holds calculated crystals)
+++
The following is a DFT calculation (meta-GGA r2SCAN) of an optimized crystal structure of CaEu3.

Cell: 6.9252 6.9252 6.9252 Å, 132.68 132.68 69.16°
Positions (direct):
Ca (0.0000, 0.0000, 0.0000)
Eu (0.2500, 0.7500, 0.5000)
Eu (0.5000, 0.5000, 0.0000)
Eu (0.7500, 0.2500, 0.5000)

Properties
DFT total energy (eV/f.u.): -122.4
Space group: I4/mmm (139)
Energy of formation from the pure elements (meV/atom): 46

* * * * *

Below is an optimized crystal structure of Na3Co5O10, with properties calculated at the PBE+U level.

Properties
Energy above the most stable polymorph in this dataset = 96 meV/atom
Electronic total energy = -5.48 eV per atom

a = 11.2848 Å, b = 14.6845 Å, c = 4.9809 Å
α = 90.00°, β = 97.71°, γ = 90.00°
Space group Cm (No. 8)
Symmetry-distinct sites (fractional):
1 Na 0.0000 0.0000 0.0000
2 Na 0.0024 0.1972 0.0140
3 Na 0.0070 0.3020 0.5134
4 Na 0.0113 0.5000 0.4952
5 Co 0.2462 0.3988 0.0875
6 Co 0.2538 0.0974 0.5884
7 Co 0.2586 0.1942 0.0915
8 Co 0.2607 0.0000 0.0919
9 Co 0.2626 0.2951 0.5964
10 Co 0.2715 0.5000 0.5941
11 O 0.1610 0.5000 0.8778
12 O 0.1632 0.2831 0.8962
13 O 0.1665 0.1898 0.3871
14 O 0.1679 0.3886 0.4045
15 O 0.1703 0.0973 0.9001
16 O 0.1719 0.0000 0.3943
17 O 0.3419 0.0000 0.7771
18 O 0.3461 0.0977 0.2918
19 O 0.3459 0.1934 0.7830
20 O 0.3483 0.5000 0.2853
21 O 0.3494 0.2830 0.2801
22 O 0.3533 0.3936 0.8071
+++

It is regrettable that the government has chosen to frame the discussions regarding this new Directive as getting tough on underperformers. The reality is that despite the current climate, the Public Service (and in particular the FI group) is made up of professionals dedicated to delivering excellent service to Canadians. The focus of performance management must be to maximize the potential of the many outstanding Public Servants, including those who make up the FI Community.

At the end of the day, managers are responsible for the performance of their employees. It falls on their shoulders to properly communicate expectations, to provide support and opportunity for underperforming staff to correct their performance, and to employ appropriate measures if that performance does not improve in a timely manner.

With better training and support from the Employer’s executive leadership and human resource professionals, this performance management initiative can help managers assist employees to achieve excellence; and identify and correct unsatisfactory performance.

It is in no one’s best interest to recruit and retain anything less than the best and brightest minds to uphold excellence in Canada’s financial management control framework.
